Composition of Atmosphere
The composition of Atmosphere is said to be a mixture of different gases. It envelops around the
Earth. 99% of total mas of atmosphere is confined to highest of 32 km from the Earth’s surface.
Structure of Atmosphere:
There are five layers in the structure of atmosphere depending upon temperature.
I. Troposphere:
It is the lowermost layer.
13 km height average with 8 km at poles and 18 km at equator (lesser at poles and greater
at equator).
The thickness is 18 km at equator because heat is transported to great heights by strong
convectional currents.
This layer has adult particles and water vapour.
Climate and weather changes occur here.
Temperature decreases at rate of 1 degrees celcius for every 165 m of height.
Zone separating troposphere from stratosphere is called tropopause.
Temperature at tropopause is minus eighty degrees celcius over equator and minus forty-
five degrees celcius over the poles. This remains constant through the year.
II. Stratosphere
It is found above the troposphere.
Extends up to 50 km of height.
Has ozone layer – absorbs ultraviolet radiation and shields life on earth from harmful
III. Mesosphere:
Above stratosphere
Reaches till 80 km height.
Temperature decreases with altitude here, by 80 km it reaches minus hundred degrees
The upper limit is called mesopause.
Solar Radiation
Earth receives most of its energy in form of short wavelengths.
Insolation is – incoming solar radiation.
Earth is a geoid, resembling a sphere.
Earth is farthest from the Sun – 4th July (Aphelion position)
Earth is nearest to the sun on – 3rd January (Perihelion position)
Factors responsible for variation in insolation during a day, season and a year:
a) Rotation of Earth
b) Angle of inclination of Sun’s rays.
c) Length of day
d) Transparency of atmosphere
e) Configuration of land in terms of its aspect.
Earth’s axis has a 66.5 degrees angle with plane of orbit round the sun leads to variation in
insolation at different latitudes.
Area covered by slant rays is more than vertical rays. Energy gets distributed and net energy
received per unit area decrease. The slant rays of Solar radiation are absorbed, scattered &
diffused more in deep atmosphere.
The Solar radiation spectrum is beautifully explained by the following diagram.
The same latitude, insolation is more over continents than on oceans.
Earth heated by Solar radiation then transmits the heat to atmosphere in Long wave form.
Conduction – It heats the lower layers of atmosphere. When two bodies of unequal
temperature come in contact with each other, there is flow of energy from warmer to
cooler body. The air in contact with land gets heated slowly and the upper layer in contact
also gets heated.
Convection– It occurs only in troposphere. The air in contact with earth rises vertically on
heating in form of current and further transmits the heat. Vertical heating of atmosphere
is convection.
_Attached: crystal structures_
~~~
1.
# Co10B3Mo
Calculated powder diffraction line list, Cu Kα. Input: a structure optimized by DFT (PBE).

Main lines, in order of falling intensity (15 to 90 degrees two-theta):
| 2θ (°) | Rel. int. |
| --- | --- |
| 45.2 | 100.0 |
| 38.7 | 63.3 |
| 51.9 | 45.5 |
| 42.5 | 37.5 |
| 77.8 | 27.1 |
| 49.5 | 26.4 |
| 58.8 | 18.6 |
| 75.2 | 17.0 |

Structure:
Unit cell a=7.366 b=7.366 c=7.366 alpha=60.00 beta=60.00 gamma=60.00
Positions (direct):
1 Co 0.000 0.000 0.338
2 Co 0.000 0.000 0.662
3 Co 0.000 0.338 0.000
4 Co 0.000 0.338 0.662
5 Co 0.000 0.662 0.000
6 Co 0.000 0.662 0.338
7 Co 0.146 0.618 0.618
8 Co 0.338 0.000 0.000
9 Co 0.338 0.000 0.662
10 Co 0.338 0.662 0.000
11 Co 0.382 0.382 0.382
12 Co 0.382 0.382 0.854
13 Co 0.382 0.854 0.382
14 Co 0.618 0.146 0.618
15 Co 0.618 0.618 0.146
16 Co 0.618 0.618 0.618
17 Co 0.662 0.000 0.000
18 Co 0.662 0.000 0.338
19 Co 0.662 0.338 0.000
20 Co 0.854 0.382 0.382
21 B 0.274 0.274 0.726
22 B 0.274 0.726 0.274
23 B 0.274 0.726 0.726
24 B 0.726 0.274 0.274
25 B 0.726 0.274 0.726
26 B 0.726 0.726 0.274
27 Mo 0.250 0.250 0.250
28 Mo 0.750 0.750 0.750

***

2.
# Nb2CoB2
Calculated powder diffraction line list, Cu Kα. Input: a structure optimized by DFT (PBE).

Main lines, in order of falling intensity (15 to 90 degrees two-theta):
| 2θ (°) | Rel. int. |
| --- | --- |
| 41.8 | 100.0 |
| 41.6 | 36.0 |
| 38.4 | 34.4 |
| 33.5 | 26.9 |
| 49.5 | 25.0 |
| 30.0 | 21.6 |
| 71.8 | 16.4 |
| 83.0 | 15.8 |

Structure:
Unit cell a=4.654 b=4.654 c=4.654 alpha=139.00 beta=119.58 gamma=75.62
Positions (direct):
1 Nb 0.207 0.207 0.000
2 Nb 0.793 0.793 0.000
3 Co 0.500 0.000 0.500
4 B 0.202 0.500 0.702
5 B 0.798 0.500 0.298

***

3.
# Nb2Co3B6
Calculated powder diffraction line list, Cu Kα. Input: a structure optimized by DFT (PBE).

Main lines, in order of falling intensity (15 to 90 degrees two-theta):
| 2θ (°) | Rel. int. |
| --- | --- |
| 42.7 | 100.0 |
| 32.3 | 40.6 |
| 27.3 | 24.4 |
| 43.4 | 18.9 |
| 49.0 | 16.1 |
| 34.4 | 13.3 |
| 56.3 | 13.1 |
| 52.0 | 10.0 |

Structure:
Unit cell a=5.587 b=5.587 c=3.269 alpha=90.00 beta=90.00 gamma=96.65
Positions (direct):
1 Nb 0.226 0.774 0.000
2 Nb 0.774 0.226 0.000
3 Co 0.268 0.268 0.000
4 Co 0.500 0.500 0.500
5 Co 0.732 0.732 0.000
6 B 0.110 0.110 0.500
7 B 0.126 0.429 0.500
8 B 0.429 0.126 0.500
9 B 0.571 0.874 0.500
10 B 0.874 0.571 0.500
11 B 0.890 0.890 0.500

***

4.
# NdCoB4
Calculated powder diffraction line list, Cu Kα. Input: a structure optimized by DFT (PBE).

Main lines, in order of falling intensity (15 to 90 degrees two-theta):
| 2θ (°) | Rel. int. |
| --- | --- |
| 40.4 | 100.0 |
| 25.6 | 49.3 |
| 30.7 | 45.4 |
| 30.8 | 39.1 |
| 62.1 | 22.6 |
| 35.4 | 19.0 |
| 24.1 | 18.3 |
| 46.1 | 17.5 |

Structure:
Unit cell a=6.008 b=6.008 c=3.485 alpha=90.00 beta=90.00 gamma=104.09
Positions (direct):
1 Nd 0.199 0.801 0.000
2 Nd 0.801 0.199 0.000
3 Co 0.323 0.323 0.000
4 Co 0.677 0.677 0.000
5 B 0.127 0.432 0.500
6 B 0.134 0.134 0.500
7 B 0.412 0.588 0.500
8 B 0.432 0.127 0.500
~~~
Advection – The horizontal heat transfer through movement of air. In middle latitudes,
most of diurnal variations in daily weather is by advection. Loo is also due to advection.
Terrestrial radiation– The insolation received by the Earth is in form of short-wave
radiation. The Earth radiates energy to atmosphere in form of long wave radiation. The
gases like Carbon-dioxide and other greenhouse gases absorb this long wave radiation is
trap the heat.
The Atmosphere in turn radiates this heat in the space.
Heat budget of the Earth – Earth maintains its temperature. The amount of heat received in form
of insolation equals the amount lost by Earth through terrestrial radiation.
Albedo of Earth – The reflected amount of radiation or insolation from clouds, snow, and ice-
covered areas of earth is known as albedo.
There is surplus of net radiation balance between 40 degrees North and South. While there is
deficit in poles.
Heat represents the molecular movement of particles comprising a substance. Temperature is
measurement in degrees of how hot or cold a thing or place is.
a) Latitude – Insolation received varies according to latitude.
b) Altitude – Temperature decreases with increasing height. The rate of decrease of
temperature with height is normal lapse rate. It is 6.5 degree Celsius for per 1000 meters.
c) Distance from the Sea – The sea gets heated slowly, land heats fast. While sea loses heat
slowly, land loses fast. Variation of temperature over sea is less than on land. Sea and land
breeze influence on places near sea.
d) Air-mass and ocean currents – Passage of air masses and currents affects the temperature of
places where they pass.
e) Local aspects– They also influence the local temperature.
Isotherms are lines joining places having equal temperatures on map, are generally parallel to
Highest range of temperature is more than 60 degrees Celsius over North-Eastern port of
Eurasian continent, due to continentality.
Temperature Inversion:
Normal lapse rate – Temperature decreases with increased elevation. It is 6.5 degrees Celsius
per 1000m.
When normal lapse rate is inverted, it is called inversion of temperature.
Short duration but common in polar regions
Long winter night with clear skies and still air is the ideal situation.
Heat of day is radiated off during night. So by early morning, earth is cooler than the air above.
Surface inversion promotes stability in lower layers of atmosphere. Smoke and dust particles
collect beneath the inversion layer and spread horizontally filling lower strata of atmosphere.
Dense fog in morning of winter season will last for few hours till the Sun comes up.
Temperature Inversion in hills and mountains occur due to air Drainage. Cold air at hills and
mountains, produced during night, flows under influence of gravity.
It is heavy and dense, cold air acts like water and moves down slope to pile up deeply in
pockets and valley bottoms with warm air above.
Air drainage protects plants from frost damages.
Air in horizontal motion is Wind, And Atmospheric Pressure determines the rise and sink of air.
The pressure and winds in atmosphere determine formation of air masses and occurrence of
Atmospheric pressure – Weight of air column contained in a unit area from mean sea level to the
top of atmosphere is known as Atmospheric pressure. It is measured in force per unit area. It is
expressed in ‘milibar’/mb unit. For practical purposes, the atmospheric pressure is expressed in
Due to gravity, air at surface is denser and has higher air pressure. It is measured by the mercury
barometer or aneroid barometer.In lower atmosphere, pressure decreases rapidly with height.
At sea level, average atmospheric pressure is 1,013.2 milibar.
Wind – When air moves from high pressure areas to low pressure areas.
Vertical pressure gradient force is much larger than the horizontal pressure gradient. But we don’t
feel strong upward winds because vertical gradient is balanced by gravitational force. Horizontal
distribution of pressure is studied by drawing isobars at constant levels. Isobars are lines
connecting places having equal pressure. To eliminate effect of attitude on pressure, it is
measured at any station after reducing to sea level for purposes of comparison. Low pressure
system is enclosed by one or more isobars with lowest pressure at centre. High pressure system
is also enclosed by one or more isobars with highest pressure in centre.
The winds above 2 to 3 km from surface are free from frictional effect of surface and
controlled by pressure gradient and Coriolis force.
When isobars are straight and no frictional force acts then – Coriolis force balances
pressure gradient force and resultant wind blows parallel to isobars, known as Geo-
strophic winds.
Wind circulation around a low is called cyclonic circulation, while wind circulation around
a high is known as anti-cyclonic circulation.
Rising of air is essential for cloud formation & precipitation, it is caused not only by
Convergence but also by some eddies, uplift along fronts, orographic uplift, convection
currents. For cloud formation and precipitation.
This Pattern of movement of planetary winds is called General circulation of atmosphere. It sets
in motion the ocean water circulation which influences the Earth’s climate. The following diagram
explains the patterns of atmosphere circulation very clearly.
I. Inter Tropical Convergence Zone (ITCZ) at equator. Zone of low atmospheric pressure and
ascending air. Rising air currents are due to global wind convergence and convection from thermal
heating (which causes low pressure). The converged air rises along with convective cell and
reaches up to 14 km. Then it moves towards poles. This accumulates air around 30 degrees North
and South.
II. Subtropical highs – The part of accumulated air sinks to ground to form subtropical high. The
air sinks because it gets cooled down when it reaches 30 degrees North and South.
III. Easterlies (come from east) – Near land surface, air flows towards the equator, this is known
as easterlies. These Easterlies converge from North and South at equator at ITCZ. This forms the
Hadley cell in tropics.
IV. Westerlies – Middle lattitudes the circulation of sinking cold air from poles and rising warm
air blows from subtropical high are called westerlies. This cell is called Ferrel Cell.
V. Polar Cell – At poles latitudes the cold dense air subsidies near poles and blows towards middle
lattitudes as polar easterlies.
The Hadley cell, Ferrel cell and Polar cell set pattern for general circulation of atmosphere.
Heat transfer from lower latitude to higher latitude maintains it.
This change in pressure condition over Pacific is known as Southern Oscillation. The combined
effect of both these is known as ENSO. When ENSO is strong, that year large scale variations are
Between two parts of the page: data records
'''
Pm2PrDyP4: simulated XRD peak list (a wavelength of 1.5418 Å), based on DFT lattice parameters and positions (PBE).

Crystal structure
a = 7.1341 Å, b = 4.1228 Å, c = 7.1343 Å
α = 90.00°, β = 109.45°, γ = 90.00°
Positions (direct):
Pm 0.0000 0.0000 0.0000
Pm 0.5000 0.5000 0.0000
Pr 0.0000 0.5000 0.5000
Dy 0.5000 0.0000 0.5000
P 0.2554 0.0000 0.7502
P 0.2563 0.5000 0.2535
P 0.7437 0.5000 0.7465
P 0.7446 0.0000 0.2498

Top 10 peaks for 10° ≤ 2θ ≤ 90°, in order of falling intensity:
- 2.914 Å, 2θ 30.69, I = 100.0, hkl 1 1 1
- 3.364 Å, 2θ 26.49, I = 81.8, hkl 2 0 0
- 2.060 Å, 2θ 43.95, I = 73.4, hkl 2 0 2
- 1.757 Å, 2θ 52.05, I = 40.5, hkl 3 1 1
- 1.303 Å, 2θ 72.55, I = 32.9, hkl 1 3 1
- 1.682 Å, 2θ 54.55, I = 25.7, hkl 0 0 4
- 1.189 Å, 2θ 80.80, I = 24.8, hkl 1 1 5
- 1.337 Å, 2θ 70.43, I = 16.3, hkl 4 0 2
- 1.121 Å, 2θ 86.86, I = 12.7, hkl 6 0 0
- 1.457 Å, 2θ 63.90, I = 11.9, hkl 2 2 2
'''
Back to the page
seen in weather around the world.
Frost in Atmosphere:
When condensation takes place below freezing point, frost is formed.
Dew point is at or below freezing point.
Air temperature must be at or below the freezing point.
Clouds are a mass of water droplets or crystals of ice of minute size located at considerable
elevations. These clouds take up various shapes and sizes. This allows for the study of different
types of clouds to understand the behaviour of water in atmosphere.
Figure: Common types of Clouds in the Troposphere
Most favourable conditions for Condensation are decrease in air temperature. Condensation
occurs when dew point is lower than freezing point as well as higher than the freezing point.
Frost in Atmosphere:
When condensation takes place below freezing point, frost is formed.
Dew point is at or below freezing point.
Air temperature must be at or below the freezing point.
Clouds are a mass of water droplets or crystals of ice of minute size located at considerable
elevations. These clouds take up various shapes and sizes. This allows for the study of different
types of clouds to understand the behaviour of water in atmosphere.
Precipitation: release of moisture after condensation.
Sleet: Frozen raindrops and refrozen melted snow water.
Hailstorms: Released as raindrops, pass through colder layers so freeze before reaching the
Types of Rainfall:
According to its basis of origin, rainfall is primarily classified into 3 major types:
Convectional rainfall: cumulous clouds in equatorial regions and continent interiors especially in
Northern hemisphere.
Orographic or relief rain: Windward slopes receives greater rainfall because air is forced to
ascend mountain and expands, temperature decreases hence results in condensation.
Cyclonic rain: The rains occurring due to extra tropical cyclones.
Precipitation regimes:
_What comes next are materials data, not part of the text_
********
1.
Calculated powder X-ray diffraction pattern
Compound: Ba3P4
Radiation: λ = 1.5418 Å (Cu Kα)
Structure: DFT lattice parameters and positions (PBE)
Peak positions follow from Bragg's law for the DFT cell and can differ from measured ones.

Crystal structure
```
data_Ba3P4
_chemical_formula_sum 'Ba24 P32'
_cell_length_a 15.020
_cell_length_b 18.425
_cell_length_c 6.240
_cell_angle_alpha 90.00
_cell_angle_beta 90.00
_cell_angle_gamma 90.00
_symmetry_space_group_name_H-M 'F d d 2'
_symmetry_Int_Tables_number 43
_symmetry_space_group_name_Hall 'F 2 -2d'
loop_
_atom_site_label
_atom_site_fract_x
_atom_site_fract_y
_atom_site_fract_z
_atom_site_occupancy
Ba1 0.000 0.000 0.000 1
Ba2 0.005 0.331 0.002 1
P1 0.078 0.003 0.491 1
P2 0.097 0.326 0.518 1
```

Peak list (6 most intense, 2θ from 5° to 70°, sorted by position)
two_theta  I/Imax
21.14  89
27.06  100
31.04  87
31.47  84
36.27  70
41.25  51

---

2.
Calculated powder X-ray diffraction pattern
Compound: NaSn2O4
Radiation: λ = 1.5418 Å (Cu Kα)
Structure: DFT lattice parameters and positions (PBE)
Peak positions follow from Bragg's law for the DFT cell and can differ from measured ones.

Crystal structure
a b c (Å): 9.446 9.446 9.446
angles (deg): 90.00 90.00 90.00
Space group Fd-3m (No. 227, origin choice 2)
Unique sites:
Na (0.125, 0.125, 0.125)
Sn (0.000, 0.000, 0.500)
O (0.018, 0.018, 0.732)

Peak list (6 most intense, 2θ from 5° to 70°, sorted by position)
two_theta  I/Imax
16.25  100
31.41  83
32.84  44
38.11  52
50.18  37
54.99  46

---

3.
Calculated powder X-ray diffraction pattern
Compound: ZnSn2O4
Radiation: λ = 1.5418 Å (Cu Kα)
Structure: DFT lattice parameters and positions (PBE)
Peak positions follow from Bragg's law for the DFT cell and can differ from measured ones.

Crystal structure
```
data_ZnSn2O4
_chemical_formula_sum 'Zn4 Sn8 O16'
_cell_length_a 6.223
_cell_length_b 6.999
_cell_length_c 12.378
_cell_angle_alpha 90.00
_cell_angle_beta 115.20
_cell_angle_gamma 90.00
_symmetry_space_group_name_H-M 'P 1 2/c 1'
_symmetry_Int_Tables_number 13
loop_
_symmetry_equiv_pos_as_xyz
'x,y,z'
'-x,-y,-z'
'-x,y,-z+1/2'
'x,-y,z+1/2'
loop_
_atom_site_label
_atom_site_fract_x
_atom_site_fract_y
_atom_site_fract_z
_atom_site_occupancy
Zn1 0.000 0.052 0.250 1
Zn2 0.500 0.240 0.250 1
Sn1 0.000 0.000 0.000 1
Sn2 0.197 0.403 0.447 1
Sn3 0.500 0.000 0.000 1
O1 0.114 0.213 0.137 1
O2 0.163 0.114 0.898 1
O3 0.313 0.166 0.575 1
O4 0.404 0.233 0.379 1
```

Peak list (6 most intense, 2θ from 5° to 70°, sorted by position)
two_theta  I/Imax
12.65  48
14.93  58
15.82  100
30.10  52
34.33  58
36.62  51
********
The water in Atmosphere is eventually falls on Earth in form of precipitation, The pattern of
precipitation regimes is helpful in understanding the distribution of rainfall.
a) Equatorial belt, windward slopes along western coast in cool temperate zone and coastal
areas of monsoon land receives heavy rainfall of over 200 cm/annum.
b) Moderate 100-200 cm/ anuum rainfall in interior of continental areas.
c) 50-100 cm/annum rainfall in central part pf tropical land and eastern and interior parts of
temperate lands receive rainfall 50-100cm/annum.
d) 50 cm/annum rainfall in rain shadow areas of interior of continents and high latitudes.
There is even distribution of rainfall occurs in equatorial belt and western parts of cool temperate
Rainfall is more over oceans than land.
Heavier rain on eastern coast and decreases towards west – between lattitudes 35 degrees and
40 degrees north and south of equator.
Due to westerlies, first rainfall on western margins of continents and it goes on decreases towards
east of 45 degrees and 65 degrees N and S of equator.